Hello, Thank you for coming back!
First,I would like to say Happy Mother's Day to all the beautiful, hardworking Moms!
If you are like me and you belong to the middle adulthood group, there is that huge possibility that you will appreciate what I'm going to talk about and that is Ageing.
What is ageing? According to Wikipedia, it is the process of getting older. In humans, ageing represents the accumulation of changes in human beings over time, encompassing physical, psychological and social changes.The causes of ageing are uncertain.
== Between two parts of the piece: data records ==
Formula: C4H10N2O2S2
Source: the Open Molecules 2025 dataset
Level of theory: wB97M-V/def2-TZVPD

Structure (XYZ):
```
20
Properties=species:S:1:pos:R:3:forces:R:3:nbo_charge:R:1
C 0.822076 -1.108009 -1.626739 -0.6 -2.5 -0.7 0.7228
C 1.262668 0.296191 1.166755 0.0 -0.5 0.9 -0.7005
C -1.000467 1.264708 0.981481 -2.2 1.9 -0.6 -0.7147
C 0.233669 0.837939 0.274760 -1.3 -1.2 -0.8 0.1034
N 0.780176 -2.416676 -2.187469 1.0 2.5 0.8 -0.8581
N -0.368622 -0.818457 -1.035969 0.3 1.4 1.7 -0.3312
O 1.809521 -0.325471 -1.677622 -1.0 -1.8 0.2 -0.6940
O -1.178048 -2.006436 -0.772598 2.5 0.8 1.3 -0.5798
S -0.125074 3.525561 -0.766779 0.8 1.0 -1.5 -0.2678
S 0.833333 1.641501 -1.060701 0.4 2.2 -1.7 0.3950
H 1.970520 1.103303 1.380709 -0.1 -0.1 0.0 0.2470
H 1.811919 -0.555038 0.784782 0.0 -0.1 0.0 0.2697
H 0.693203 0.082310 2.061894 0.6 -0.6 0.6 0.2117
H -0.745326 2.159937 1.602562 0.1 -0.5 -0.4 0.2553
H -1.355349 0.549523 1.713590 0.1 -0.5 -0.1 0.2436
H -1.932410 1.622652 0.352795 2.2 -0.9 0.8 0.2580
H -0.147936 -2.818439 -2.282327 1.0 -0.2 -0.1 0.4122
H 1.620457 -2.652868 -2.674304 -0.2 -0.5 -0.5 0.3997
H -1.835365 -1.810008 -1.381815 -2.5 0.3 -1.5 0.4634
H 0.651973 4.051702 -1.853854 -1.1 -0.7 1.5 0.1643
```
Positions in Å, forces in eV/Å.

For the LUMO energy (alpha / beta), the calculation gives -0.41 / -0.41 eV. As for the total charge: 0. As for the HOMO-LUMO gap (alpha / beta): 7.66 / 7.66 eV. Its energy is -33051.749 eV. The maximum force is 0.0577 Eh/bohr. The energy relative to the best compared isomer or geometry (same formula, charge and spin) comes out at 51.41 kcal/mol.

Formula: C4H10N2O3
Source: the Open Molecules 2025 dataset
Level of theory: wB97M-V/def2-TZVPD

Structure (XYZ):
```
19
Properties=species:S:1:pos:R:3:forces:R:3:nbo_charge:R:1
C -0.361714 -0.143287 -0.851230 -0.6 -3.1 -0.8 0.4002
C -0.142587 -0.855910 0.967889 -0.7 2.1 -1.9 -0.1439
C -1.806444 -0.533676 -1.147767 0.3 0.0 0.0 -0.6696
N 1.080785 -0.553122 1.493438 1.0 0.4 1.0 -0.6515
C 1.502314 0.802864 1.697062 0.7 -1.8 -1.2 0.7744
N 0.622490 1.645840 1.128274 -2.2 -0.9 -1.6 -0.8798
O 0.567427 -1.071617 -1.383727 0.1 -0.2 0.2 -0.7560
O -0.182551 1.049819 -1.604120 0.1 0.4 1.1 -0.7198
O 2.602551 1.039788 2.151710 -0.4 0.3 0.4 -0.6343
H 0.452719 -1.127685 -2.343082 0.0 0.2 0.0 0.4689
H 0.729752 1.345420 -1.485199 0.1 0.0 -0.1 0.4824
H 1.835448 -1.215954 1.384917 -0.1 0.2 0.1 0.4136
H -0.060910 1.139479 0.339936 2.3 2.3 2.8 0.4309
H 0.925254 2.606398 1.087475 -0.3 0.0 -0.2 0.4100
H -0.957255 -0.324171 1.448254 -0.1 -0.3 0.3 0.1954
H -0.310726 -1.915831 0.811793 0.0 0.2 -0.3 0.2306
H -1.987618 -0.551134 -2.224790 0.1 0.2 0.0 0.2142
H -2.474343 0.194307 -0.690703 -0.2 0.0 0.0 0.2208
H -2.034592 -1.531530 -0.780129 0.0 0.0 0.2 0.2136
```
Positions in Å, forces in eV/Å.
But today I will only speak about the signs of ageing that are most visible to our eyes-the wrinkles and age spots. According to the American Academy of Dermatology, many things cause our skin to age-some things we cannot do anything about and others we can influence.The natural ageing process is one thing we cannot change.We will all get visible lines with time, as we get older.Our skin will lose its youthful fullness,get drier and thinner.This is what we call Intrinsic ageing.The other thing that may influence the cause of ageing are the environment and lifestyle choices we make-this is called Extrinsic ageing.Taking preventative measures may slow the effects of this type of ageing on our skin.
Sad fact: Around 30-35 years old, the skin starts to become drier and wrinkles start to appear by the end of early adulthood. As we reach the age of 40,the aging process become more apparent. The skin continues to dry out and is more prone to more wrinkling particularly on the sensitive face areas.
It sucks,I know!
I can vividly remember the first time I noticed those pesky wrinkles peeking through the delicate skin around the outer corners of my eyes. I was 39 years old then.Lain kayo akong pamati nga tigulang na gyud ko! I tell you, it was painful (not physically) mentally and emotionally to have stared at them and grasped the fact that I was indeed getting older!
It's not just the wrinkles that were tormenting me, but there were other things like getting frail, and weak, sickly and eventually dying! I know, I am slightly morbid! Gosh! do you also think like that? Maybe not!
It's been a few years now since I found those first wrinkles, and sadly there had been a few additions plus the age spots. But It's OK, I am actually over the fact that I am ageing. I have accepted it. It is not tormenting my mind and my emotions anymore. Honest! That is why I can easily talk about it now because I am not ashamed nor upset about it anymore.When my kids joke about my skin,I just laugh it out!
How did I deal with it?
It wasn't really that bad after I had accepted that ageing is a part of life which I could not do much about. I have just accepted that I am older and with that comes the effects of the ageing process.
Accepting that my skin is not perfect, having wrinkles and age spots-doesn't mean that I will just leave it and not do anything about it. In fact, I wished I started looking after my skin in my early years.I am now aware that you can't reverse the signs of aging once it has already started to occur-we can only prevent and minimise further damage.This is something very important I have imparted to my daughter.
It wasn't so long ago in my continuous search for skin care products which are designed for ageing that I came across this brand-The Ordinary."This brand is an evolving collection of treatments offering effective clinical technologies in skin care.Apparently they are meant to provide clinical formulations with integrity".
I was so excited when I saw their shop in the Distillery District in Toronto when I went there last October 2017.It must have been their flagship store though I might be wrong.Here, I will share some of my most recent favourite skin care products.
I had been using this brand for a year now, and I love their products so far. I saw a difference to my skin texture since I used them.I have my favourites which I had repurchased a few times already. If you are good and have already started looking after your skin,then you know that skin care products are quite expensive. But the products from The Ordinary brand are very inexpensive- that is the initial reason that urged me to try them out. And I am glad I did.
Remember,there are only things we can influence in the process of ageing.The skin care products are there to prevent further damage or minimise the appearance of premature ageing.But here are steps I gathered, which somehow worked for me in my own experience, that helps.
1) Get lots of sleep and rest
2)Keep hydrated
# Quantum chemistry results, kept here for reference
{"formula": "C56H71BFIN4O25P", "method": "wB97M-V/def2-TZVPD", "species": ["C", "C", "C", "C", "C", "C", "C", "C", "C", "C", "C", "C", "C", "C", "C", "O", "C", "N", "B", "N", "O", "C", "N", "N", "C", "F", "C", "O", "C", "C", "O", "C", "C", "C", "C", "C", "P", "O", "I", "H", "H", "H", "H", "H", "H", "H", "H", "H", "H", "H", "H", "H", "H", "H", "H", "H", "H", "H", "H", "H", "H", "H", "H", "H", "H", "H", "H", "H", "H", "H", "H", "H", "H", "H", "H", "H", "H", "H", "H", "H", "H", "H", "H", "H", "H", "H", "H", "H", "H", "H", "C", "C", "C", "O", "C", "C", "C", "O", "O", "O", "H", "H", "H", "H", "C", "C", "C", "O", "C", "C", "C", "O", "O", "O", "H", "H", "H", "H", "C", "C", "C", "O", "C", "C", "C", "O", "O", "O", "H", "H", "H", "H", "C", "C", "C", "O", "C", "C", "C", "O", "O", "O", "H", "H", "H", "H", "C", "C", "C", "O", "C", "C", "C", "O", "O", "O", "H", "H", "H", "H"], "xyz": [[-0.939614, 3.727049, 5.373256], [-1.243831, 3.542697, 4.213740], [-1.442339, 3.651294, 2.755939], [-2.953208, 4.037163, 2.640484], [-3.583563, 4.216731, 1.244019], [-3.951131, 2.909091, 0.492817], [-3.851442, 3.106283, -1.041605], [-3.113425, 1.982744, -1.809383], [-2.300262, 2.612177, -2.954566], [-1.331601, 1.648362, -3.659087], [0.106822, 1.787579, -3.164009], [1.033488, 0.741235, -3.810968], [2.016731, 0.119111, -2.826442], [3.020392, 1.125301, -2.245450], [4.364404, 0.503382, -1.819127], [5.471323, 1.212843, -2.346584], [5.643345, 0.984411, -3.732906], [-1.329272, 2.233233, 2.216381], [-1.070170, 1.155986, 3.261565], [0.239892, 0.670114, 3.671432], [-2.216213, 0.609728, 3.753593], [-0.710328, 2.094116, 1.092872], [0.010534, 0.969495, 0.762032], [-0.864187, 3.104618, 0.190668], [-0.172332, 4.335170, 0.605084], [-0.703805, 5.331821, -0.184341], [1.279649, 4.208741, 0.125212], [1.935611, 5.438634, 0.030717], [2.841097, 5.440854, -1.066678], [2.167645, 5.799390, -2.378449], [3.139624, 6.120950, -3.356805], [3.416574, 5.025620, -4.212663], [2.442882, 4.921210, -5.388659], [-0.405792, 4.636730, 2.102320], [0.915506, 4.811573, 2.885888], [1.763127, 3.551122, 3.190551], [-1.253135, 6.401898, 2.173788], [-1.481991, 6.606944, 3.787622], [0.438618, 8.075250, 1.610176], [-0.654757, 3.751608, 6.395934], [-3.213452, 4.873110, 3.281087], [-3.478315, 3.192574, 3.097098], [-4.530356, 4.743805, 1.401322], [-3.023462, 4.843066, 0.556432], [-5.006441, 2.711368, 0.684127], [-3.420066, 2.026783, 0.844302], [-3.332650, 4.034652, -1.283387], [-4.859481, 3.218520, -1.433866], [-2.432462, 1.419668, -1.167071], [-3.864259, 1.349788, -2.277603], [-1.776008, 3.511998, -2.616219], [-3.005358, 2.969001, -3.706858], [-1.316968, 1.883902, -4.722226], [-1.670098, 0.620884, -3.519231], [0.177462, 1.684171, -2.075186], [0.499168, 2.769211, -3.441950], [1.612594, 1.163502, -4.633566], [0.443137, -0.068652, -4.242824], [1.519671, -0.414405, -2.012047], [2.585908, -0.643236, -3.366303], [2.572192, 1.539080, -1.335584], [3.231489, 1.951509, -2.922519], [4.454368, -0.541691, -2.137547], [4.495549, 0.541829, -0.739803], [5.409335, -0.049238, -4.002283], [5.007298, 1.673320, -4.296252], [6.678526, 1.159229, -4.014502], [0.203029, -0.338018, 3.808576], [0.486488, 1.056130, 4.579261], [-2.083454, 0.401960, 4.685698], [0.989821, 0.886300, 0.969728], [-0.454974, 0.167070, 0.371954], [-0.552843, 2.788129, -0.724130], [1.201879, 3.832450, -0.904234], [1.863184, 3.457434, 0.663859], [3.301026, 4.448604, -1.139031], [3.632509, 6.162368, -0.884909], [1.559500, 4.980386, -2.779565], [1.507009, 6.659977, -2.271221], [3.441708, 4.082316, -3.658018], [4.406585, 5.198218, -4.632154], [2.160783, 5.910320, -5.739342], [1.534990, 4.424853, -5.032163], [2.880664, 4.311321, -6.175255], [0.721593, 5.279723, 3.847996], [1.560044, 5.517345, 2.372762], [1.617286, 3.232513, 4.216982], [2.817301, 3.817433, 3.113590], [1.610985, 2.713827, 2.518965], [-0.961146, 6.003653, 4.336516], [-8.910832, 4.804927, 4.774690], [-7.970080, 5.273434, 3.944209], [-6.556751, 4.765689, 3.983523], [-5.757005, 5.224187, 3.183520], [-6.211055, 3.759952, 4.970603], [-7.150130, 3.292310, 5.805084], [-8.572388, 3.780447, 5.749647], [-9.369493, 3.295483, 6.526811], [-6.897516, 2.376008, 6.728146], [-8.218228, 6.210024, 3.034910], [-9.930988, 5.161010, 4.754049], [-5.187050, 3.414569, 5.001183], [-7.744889, 2.216210, 7.189278], [-7.376743, 6.369561, 2.568444], [3.824534, 2.088003, -10.398035], [3.352200, 2.046198, -9.146721], [4.248522, 2.226496, -7.954949], [3.739954, 2.193889, -6.845165], [5.666347, 2.425965, -8.180368], [6.144439, 2.465292, -9.433080], [5.244355, 2.310115, -10.628989], [5.745711, 2.374331, -11.732822], [7.428060, 2.642448, -9.704274], [2.066148, 1.845571, -8.868673], [3.188502, 1.961700, -11.262632], [6.302973, 2.538532, -7.314089], [7.504546, 2.633444, -10.678539], [1.996313, 1.863915, -7.896138], [0.721862, -4.321173, 4.796664], [1.158882, -5.563246, 4.530610], [1.071453, -6.147923, 3.147520], [1.506215, -7.269361, 2.978134], [0.469074, -5.351187, 2.092254], [0.031670, -4.117986, 2.366286], [0.147080, -3.521203, 3.739141], [-0.257577, -2.376359, 3.897029], [-0.533893, -3.330576, 1.452042], [1.687784, -6.347149, 5.451817], [0.781085, -3.886346, 5.784181], [0.394707, -5.791979, 1.107524], [-0.760595, -2.508067, 1.923164], [1.915219, -7.188829, 5.008149], [-3.481898, -9.594149, 3.089158], [-3.945174, -10.108014, 4.237527], [-3.040850, -10.372440, 5.410742], [-3.538692, -10.821088, 6.425056], [-1.624204, -10.080675, 5.267228], [-1.160891, -9.571412, 4.116857], [-2.070537, -9.282518, 2.954912], [-1.577749, -8.797196, 1.951268], [0.117694, -9.283234, 3.913841], [-5.221752, -10.415213, 4.422670], [-4.123493, -9.397511, 2.241896], [-0.980368, -10.290244, 6.109780], [0.175279, -8.940023, 3.002912], [-5.286766, -10.764216, 5.332894], [2.716362, -10.429968, -1.543693], [2.565060, -11.758644, -1.632565], [2.178320, -12.593373, -0.442942], [2.041437, -13.790037, -0.604135], [1.992734, -11.925260, 0.836192], [2.147867, -10.598558, 0.923971], [2.508880, -9.761267, -0.271200], [2.613331, -8.557466, -0.
3)Eat a healthy balanced diet
4)Regular exercise, keep yourself active
5)Always wear sunscreen even when it's cloudy
6)Moisturise your face well, wash your face properly before bedtime
7)Stick to your skincare routine
_The text is interrupted by quantum chemistry results_
- - -
(1)
This record from the OMol25 dataset describes a structure of composition C26H26Br2N7OPrS5 at a distorted geometry. The level of theory is the ωB97M-V functional and the def2-TZVPD basis.

Each line ends with the Mulliken charge.
Cartesian coordinates (Å):
1 O 11.676 10.896 5.407  -0.437
2 C 15.565 13.295 3.849  -0.328
3 N 14.136 15.957 7.465  0.613
4 H 7.257 14.442 3.920  0.383
5 H 18.027 11.022 5.765  0.548
6 H 8.949 8.862 6.466  0.439
7 C 12.722 16.454 4.548  0.072
8 C 15.364 10.547 6.230  0.669
9 S 11.778 16.397 8.287  -0.079
10 S 11.355 13.375 8.232  -0.336
11 C 15.529 16.015 7.044  0.720
12 Pr 12.850 12.779 5.917  1.157
13 H 8.275 15.377 2.939  0.384
14 C 16.066 17.240 6.581  -0.376
15 C 17.694 14.952 6.735  -0.858
16 H 17.927 18.315 6.003  0.366
17 C 17.492 17.335 6.329  -1.174
18 H 16.080 13.852 7.284  0.516
19 C 15.284 8.350 7.114  -0.230
20 H 13.727 7.943 8.433  0.510
21 H 15.543 18.114 6.359  0.324
22 H 8.559 16.243 5.155  0.448
23 Br 15.898 6.620 7.145  -0.055
24 C 18.233 16.168 6.412  -0.453
25 C 17.003 13.437 3.645  -0.594
26 H 9.405 11.816 6.252  -0.255
27 S 13.602 18.638 7.726  -0.190
28 C 9.002 15.251 4.943  -0.480
29 C 13.683 9.985 7.697  -0.648
30 H 18.281 14.030 6.856  0.613
31 C 17.338 11.590 5.127  -0.644
32 H 16.757 8.996 5.709  0.568
33 H 19.304 16.184 6.112  0.363
34 H 14.913 14.117 3.536  0.518
35 C 15.909 9.300 6.325  -0.545
36 C 17.828 12.602 4.296  -0.334
37 H 14.072 17.992 4.643  0.373
38 C 13.321 17.017 7.760  0.129
39 C 9.698 9.603 4.183  -1.041
40 C 15.944 11.530 5.236  0.610
41 Br 19.671 12.863 4.158  -0.014
42 H 9.243 8.685 4.108  0.519
43 N 12.716 15.183 4.806  0.117
44 S 10.935 9.534 5.521  0.272
45 H 12.855 10.357 8.307  0.616
46 C 12.402 14.769 8.085  0.553
47 H 9.783 9.872 7.701  0.496
48 C 8.699 10.677 4.516  -0.101
49 S 11.110 17.135 4.477  -0.089
50 H 8.792 13.773 3.388  0.307
51 H 7.741 10.420 4.040  0.378
52 H 14.711 16.490 4.633  0.087
53 N 14.269 10.923 6.886  0.173
54 N 13.921 17.065 4.376  -0.261
55 N 13.587 14.718 7.669  -0.827
56 N 11.428 14.686 4.856  -0.277
57 H 17.323 14.289 3.074  0.484
58 H 8.860 14.690 5.898  0.184
59 C 16.346 14.888 7.090  -0.206
60 H 8.943 11.552 3.951  -0.120
61 N 15.063 12.443 4.720  -0.023
62 C 10.478 15.540 4.799  0.294
63 H 7.801 11.064 6.521  0.590
64 C 14.152 8.718 7.827  -0.673
65 H 10.257 9.737 3.278  0.553
66 C 8.754 10.970 6.020  -0.185
67 C 9.537 9.790 6.654  -0.903
68 C 8.302 14.608 3.732  -1.212

The orbital gap (spin up / spin down) is 6.85 / 6.90 eV. The multiplicity is 3. Its total energy is -9120.4803 Ha. As for the total charge: +2. Its expectation value of S² is 2.00. Its energy above the lowest of the compared OMol25 structures with the same formula, charge and spin is 5.8 kJ/mol.



(2)
This record from the OMol25 dataset describes an isolated molecule of C26H26ClFN4O4S at a distorted geometry. The level of theory is the ωB97M-V functional and the def2-TZVPD basis.

Each line ends with the Mulliken charge.
Cartesian coordinates (Å):
- - -
8)Stop Smoking, minimise Alcohol intake
9)Reduce stress
Some people may find it shallow to talk about ageing.I know it's not a 3rd world problem-there are other problems out there that need solutions.I totally agee! But those problems are much bigger problems that need bigger better solutions. Sometimes you just need to focus on yourself,find solutions to your own issues and then when you are ready,you can spread and try reaching out to help others.
Thank you! To my fellow middle aged group, let's embrace ageing and Age gracefully!